Excerpt:
'''
No. 1
The following is a quantum chemistry calculation of 3 unconnected molecules or ions with the total composition C4H8N2O in a non-equilibrium geometry, from the OMol25 dataset.

The geometry in XYZ format:
```
15
C4H8N2O, DFT ωB97M-V/def2-TZVPD
C 0.1855 -0.8010 -0.0278
C 2.4816 -0.0947 -0.0217
C -1.9292 -0.7758 0.0923
C 0.3954 0.5447 0.0504
N -2.6818 0.3342 -0.1010
N 0.0895 1.7268 0.0766
O -2.3985 -1.8753 0.3004
H -2.2319 1.2344 -0.1821
H -3.6941 0.2857 -0.0385
H 0.8415 2.4167 0.0647
H 0.2556 -1.2576 -1.0058
H 0.3059 -1.3902 0.8706
H 2.7614 -1.1422 -0.0971
H 2.8178 0.3338 0.9198
H 2.8015 0.4605 -0.9008
```

Computed properties:
Charge: 0
E_tot in eV: -9300.6830
Largest force on an atom in eV/Å: 6.223
Frontier orbital gap in eV: 7.73
Energy relative to the best compared isomer or geometry (same formula, charge and spin) in kcal per mole: 131.7
LUMO level in eV: 0.698

No. 2
The following is a quantum chemistry calculation of 2 unconnected molecules or ions with the total composition C2H5N3O3 in a non-equilibrium geometry, from the OMol25 dataset.

The geometry in XYZ format:
```
13
C2H5N3O3, DFT ωB97M-V/def2-TZVPD
C -0.7063 -1.3932 0.0140
C 0.2582 -2.2453 -0.0439
N -1.6152 -0.5824 -0.0800
N 1.3024 1.6244 0.3395
N -1.7437 0.7927 -0.1527
O -1.6975 1.3716 0.9124
O -1.9995 1.1864 -1.2061
O 1.2319 0.4644 -0.4464
H 0.8633 -2.4136 0.8364
H 1.4702 2.4733 -0.2065
H 0.4376 -2.7345 -0.9162
H 0.4706 1.7546 1.0066
H 1.7280 -0.2986 -0.0570
```

Computed properties:
Charge: 0
E_tot in eV: -12760.0085
Largest force on an atom in eV/Å: 4.090
SMILES string: C=C=N[N+](=O)[O-].NO
Frontier orbital gap in eV: 9.42
Energy relative to the best compared isomer or geometry (same formula, charge and spin) in kcal per mole: 175.1
LUMO level in eV: 0.183

No. 3
The following is a quantum chemistry calculation of a molecular structure, C7H14O4 in a non-equilibrium geometry, from the OMol25 dataset.

The geometry in XYZ format:
```
25
C7H14O4, DFT ωB97M-V/def2-TZVPD
C 2.9994 0.1969 -0.1312
C 0.7148 0.1982 0.5712
C 0.8278 -1.4142 0.5642
C -0.2939 -1.6856 -0.5542
C -1.4741 -0.6259 -0.6946
C -1.0462 0.7727 -0.7777
C -1.6530 2.0033 -0.0398
H 4.1427 -0.0475 0.0995
H 3.1637 -0.8358 -0.7111
H 3.0724 1.3803 -0.7556
H -0.0088 0.4915 1.3421
H 0.3719 -1.6227 1.4923
H 1.9579 -1.8760 0.6609
H -0.6288 -2.6753 -0.4258
H 0.0745 -1.3832 -1.6543
H -1.9169 -0.8765 -1.6303
H -2.1303 -0.3751 2.3447
H -0.9201 0.7162 -1.7361
H -3.0340 1.8383 0.2601
H -1.1232 2.7282 -1.0671
H -0.8029 2.3481 1.0758
O 2.1310 0.5817 0.8339
O -2.6211 -0.8915 0.1455
O -2.2055 0.1720 1.3104
O 0.4028 0.8820 -0.5227
```

Computed properties:
Charge: 0
E_tot in eV: -15661.7843
Largest force on an atom in eV/Å: 6.704
Frontier orbital gap in eV: 9.02
Energy relative to the best compared isomer or geometry (same formula, charge and spin) in kcal per mole: 311.9
LUMO level in eV: -0.168

No. 4
The following is a quantum chemistry calculation of 4 unconnected molecules or ions with the total composition C3H14O5 in a non-equilibrium geometry, from the OMol25 dataset.

The geometry in XYZ format:
```
22
C3H14O5, DFT ωB97M-V/def2-TZVPD
C -0.6625 -1.3612 -1.7300
O 0.7453 -1.4343 -1.7080
C -1.2244 -0.1929 -0.9386
C -0.7609 -0.0809 0.5373
O -1.6047 -0.9764 1.3058
H -0.9030 -1.2619 -2.7857
H -1.1265 -2.2939 -1.3908
H 1.1618 -1.1500 -0.8940
H -0.8760 0.7219 -1.4343
H -2.3090 -0.1706 -0.8504
H 0.2788 -0.3510 0.6973
H -1.0702 0.9045 0.8603
H -1.2163 -1.8560 1.2973
H 2.3938 0.4918 0.4488
H 3.2387 0.8120 -0.7476
O 2.3330 0.8960 -0.4259
H 1.1406 -1.4756 3.2166
H 0.1528 -0.2027 2.8891
O 0.9148 -0.5526 3.3563
H 0.1073 3.5159 -1.2065
H -0.1213 2.7609 0.0909
O -0.5920 3.2572 -0.5881
```

Computed properties:
Charge: 0
E_tot in eV: -13574.6212
Largest force on an atom in eV/Å: 2.579
SMILES string: OCCCO.O.O.O
Frontier orbital gap in eV: 10.38
Energy relative to the best compared isomer or geometry (same formula, charge and spin) in kcal per mole: 31.7
LUMO level in eV: 0.174

No. 5
'''

Job:
Your job: copy the lines further above exactly.

Worked solution:
No. 1
The following is a quantum chemistry calculation of 3 unconnected molecules or ions with the total composition C4H8N2O in a non-equilibrium geometry, from the OMol25 dataset.

The geometry in XYZ format:
```
15
C4H8N2O, DFT ωB97M-V/def2-TZVPD
C 0.1855 -0.8010 -0.0278
C 2.4816 -0.0947 -0.0217
C -1.9292 -0.7758 0.0923
C 0.3954 0.5447 0.0504
N -2.6818 0.3342 -0.1010
N 0.0895 1.7268 0.0766
O -2.3985 -1.8753 0.3004
H -2.2319 1.2344 -0.1821
H -3.6941 0.2857 -0.0385
H 0.8415 2.4167 0.0647
H 0.2556 -1.2576 -1.0058
H 0.3059 -1.3902 0.8706
H 2.7614 -1.1422 -0.0971
H 2.8178 0.3338 0.9198
H 2.8015 0.4605 -0.9008
```

Computed properties:
Charge: 0
E_tot in eV: -9300.6830
Largest force on an atom in eV/Å: 6.223
Frontier orbital gap in eV: 7.73
Energy relative to the best compared isomer or geometry (same formula, charge and spin) in kcal per mole: 131.7
LUMO level in eV: 0.698

No. 2
The following is a quantum chemistry calculation of 2 unconnected molecules or ions with the total composition C2H5N3O3 in a non-equilibrium geometry, from the OMol25 dataset.

The geometry in XYZ format:
```
13
C2H5N3O3, DFT ωB97M-V/def2-TZVPD
C -0.7063 -1.3932 0.0140
C 0.2582 -2.2453 -0.0439
N -1.6152 -0.5824 -0.0800
N 1.3024 1.6244 0.3395
N -1.7437 0.7927 -0.1527
O -1.6975 1.3716 0.9124
O -1.9995 1.1864 -1.2061
O 1.2319 0.4644 -0.4464
H 0.8633 -2.4136 0.8364
H 1.4702 2.4733 -0.2065
H 0.4376 -2.7345 -0.9162
H 0.4706 1.7546 1.0066
H 1.7280 -0.2986 -0.0570
```

Computed properties:
Charge: 0
E_tot in eV: -12760.0085
Largest force on an atom in eV/Å: 4.090
SMILES string: C=C=N[N+](=O)[O-].NO
Frontier orbital gap in eV: 9.42
Energy relative to the best compared isomer or geometry (same formula, charge and spin) in kcal per mole: 175.1
LUMO level in eV: 0.183

No. 3
The following is a quantum chemistry calculation of a molecular structure, C7H14O4 in a non-equilibrium geometry, from the OMol25 dataset.

The geometry in XYZ format:
```
25
C7H14O4, DFT ωB97M-V/def2-TZVPD
C 2.9994 0.1969 -0.1312
C 0.7148 0.1982 0.5712
C 0.8278 -1.4142 0.5642
C -0.2939 -1.6856 -0.5542
C -1.4741 -0.6259 -0.6946
C -1.0462 0.7727 -0.7777
C -1.6530 2.0033 -0.0398
H 4.1427 -0.0475 0.0995
H 3.1637 -0.8358 -0.7111
H 3.0724 1.3803 -0.7556
H -0.0088 0.4915 1.3421
H 0.3719 -1.6227 1.4923
H 1.9579 -1.8760 0.6609
H -0.6288 -2.6753 -0.4258
H 0.0745 -1.3832 -1.6543
H -1.9169 -0.8765 -1.6303
H -2.1303 -0.3751 2.3447
H -0.9201 0.7162 -1.7361
H -3.0340 1.8383 0.2601
H -1.1232 2.7282 -1.0671
H -0.8029 2.3481 1.0758
O 2.1310 0.5817 0.8339
O -2.6211 -0.8915 0.1455
O -2.2055 0.1720 1.3104
O 0.4028 0.8820 -0.5227
```

Computed properties:
Charge: 0
E_tot in eV: -15661.7843
Largest force on an atom in eV/Å: 6.704
Frontier orbital gap in eV: 9.02
Energy relative to the best compared isomer or geometry (same formula, charge and spin) in kcal per mole: 311.9
LUMO level in eV: -0.168

No. 4
The following is a quantum chemistry calculation of 4 unconnected molecules or ions with the total composition C3H14O5 in a non-equilibrium geometry, from the OMol25 dataset.

The geometry in XYZ format:
```
22
C3H14O5, DFT ωB97M-V/def2-TZVPD
C -0.6625 -1.3612 -1.7300
O 0.7453 -1.4343 -1.7080
C -1.2244 -0.1929 -0.9386
C -0.7609 -0.0809 0.5373
O -1.6047 -0.9764 1.3058
H -0.9030 -1.2619 -2.7857
H -1.1265 -2.2939 -1.3908
H 1.1618 -1.1500 -0.8940
H -0.8760 0.7219 -1.4343
H -2.3090 -0.1706 -0.8504
H 0.2788 -0.3510 0.6973
H -1.0702 0.9045 0.8603
H -1.2163 -1.8560 1.2973
H 2.3938 0.4918 0.4488
H 3.2387 0.8120 -0.7476
O 2.3330 0.8960 -0.4259
H 1.1406 -1.4756 3.2166
H 0.1528 -0.2027 2.8891
O 0.9148 -0.5526 3.3563
H 0.1073 3.5159 -1.2065
H -0.1213 2.7609 0.0909
O -0.5920 3.2572 -0.5881
```

Computed properties:
Charge: 0
E_tot in eV: -13574.6212
Largest force on an atom in eV/Å: 2.579
SMILES string: OCCCO.O.O.O
Frontier orbital gap in eV: 10.38
Energy relative to the best compared isomer or geometry (same formula, charge and spin) in kcal per mole: 31.7
LUMO level in eV: 0.174

No. 5